What to do:
Could you copy the material further below character by character?
Source:
........
# 1
LiMnP3HO10 | GGA+U | relaxed

Output
The calculation puts the raw total energy at -6.873 eV/atom. Its formation energy is -2.40 eV/atom. The calculation puts the polymorph energy (0 for the lowest one) at 33 meV per atom. The symmetry is P1, No. 1.

Geometry as extended XYZ:
```
32
Lattice="-2.557 2.043 6.725 8.322 -4.023 1.620 1.154 7.303 1.362" Properties=species:S:1:pos:R:3 pbc="T T T"
O -0.628 4.961 6.704
O 6.215 -1.550 4.957
O 5.125 -0.558 7.302
O 7.551 1.934 3.545
O 3.823 6.457 8.938
O 0.361 3.796 4.083
O 1.358 5.133 8.184
O 6.592 -1.425 2.465
O -0.787 2.258 6.114
O 1.248 6.081 3.346
O 0.576 7.181 6.812
O 5.431 0.496 3.582
O 3.551 1.438 6.840
O 1.535 1.319 5.417
O 6.423 1.366 5.778
O 4.231 -1.730 3.479
O 5.229 2.876 4.242
O 2.965 -1.297 0.924
O 1.735 5.257 5.691
O 2.816 4.080 3.796
Mn 6.959 -0.283 6.619
Mn 4.654 4.358 3.125
H 2.670 1.405 6.192
H 0.370 6.046 2.699
P 1.523 4.789 4.146
P 0.733 5.604 6.885
P 6.251 1.739 4.289
P 5.590 -1.081 3.658
P 3.828 0.148 7.643
P 0.236 1.122 6.162
Li 2.201 1.978 1.814
Li 5.658 4.619 6.659
```


# 2
LiVFeP2O8F2 | GGA+U | relaxed

Output
The calculation puts the raw total energy at -6.844 eV/atom. Its formation energy is -2.62 eV/atom. The calculation puts the polymorph energy (0 for the lowest one) at 0 meV per atom.

Geometry as extended XYZ:
```
30
Lattice="-3.494 3.699 -0.841 -6.294 -1.693 3.607 2.061 2.373 9.992" Properties=species:S:1:pos:R:3 pbc="T T T"
P -5.575 3.705 3.945
P -1.773 2.157 1.592
P -5.636 4.346 7.971
P -5.944 2.196 11.165
O -6.731 3.300 8.147
O -6.694 -0.196 4.874
O -5.793 2.780 2.757
O -2.570 1.621 7.639
O -1.986 1.639 9.986
O 0.861 2.977 8.749
O -4.905 3.284 10.912
O -1.617 3.149 2.766
O -2.868 1.110 1.768
O -6.163 1.271 9.977
O -5.063 2.793 5.137
O -8.495 1.437 4.026
O -4.263 3.686 7.647
O -1.042 1.095 4.533
O -1.015 4.457 8.075
O -3.445 0.573 5.303
V -4.219 0.688 13.572
V -3.850 2.197 6.352
F -2.795 4.934 9.992
F -5.226 1.052 7.220
F -2.513 3.290 5.510
F -4.943 -0.594 2.738
Fe -3.173 -0.831 1.834
Fe -0.743 3.052 4.605
Li -2.607 3.331 8.909
Li -5.038 -0.552 6.137
```


# 3
Fe2S2O17 | GGA+U | relaxed

Output
The calculation puts the raw total energy at -5.534 eV/atom. Its formation energy is -0.54 eV/atom. The symmetry is P-1, No. 2.

Geometry as extended XYZ:
```
42
Lattice="-2.634 1.357 -6.642 -6.499 -6.140 0.245 -9.381 3.956 3.686" Properties=species:S:1:pos:R:3 pbc="T T T"
O -9.056 1.019 -4.162
O -10.523 2.663 2.417
O -11.743 -2.267 -0.548
O -16.337 -1.382 -1.523
O -2.176 0.556 -1.189
O -10.330 3.182 -0.029
O -7.991 -3.489 -5.129
O -4.560 -0.617 0.920
O -5.804 0.622 -2.378
O -12.710 -1.448 -0.334
O -12.043 3.585 -1.720
O -9.710 0.383 -0.392
O -6.779 2.560 -2.797
O -11.655 -0.084 -2.834
O -6.770 1.441 -2.164
O -5.944 -1.858 -3.912
O -10.640 -3.194 -4.008
O -12.570 1.032 1.200
O -8.564 -3.279 -0.388
O -6.471 -4.411 -0.991
O -14.139 -2.598 1.819
O -9.949 2.453 -2.324
O -7.873 2.368 1.296
O -8.184 -4.008 -2.683
O -8.804 -1.209 -2.320
O -4.374 1.772 -4.531
O -6.858 -0.742 0.122
O -13.953 -0.209 -3.631
O -13.164 1.193 2.263
O -11.734 -3.386 0.086
O -5.350 -2.019 -4.975
O -8.655 -1.161 -5.153
O -9.859 0.335 2.441
O -9.458 -1.845 1.450
S -12.623 0.198 -3.969
S -5.891 -1.024 1.257
S -10.622 3.519 -1.503
S -7.891 -4.345 -1.209
Fe -8.675 -1.318 -0.322
Fe -9.838 0.492 -2.389
Fe -10.148 1.643 1.044
Fe -8.365 -2.469 -3.756
```


# 4
Mn6O5F7 | GGA+U | relaxed

Output
The calculation puts the raw total energy at -6.660 eV/atom. Its formation energy is -2.41 eV/atom. The calculation puts the polymorph energy (0 for the lowest one) at 27 meV per atom. The symmetry is P1, No. 1.

Geometry as extended XYZ:
```
36
Lattice="5.113 0.000 0.000 -0.012 5.761 0.000 -0.871 -0.229 14.497" Properties=species:S:1:pos:R:3 pbc="T T T"
F 3.088 0.908 3.722
F 0.065 0.660 11.060
F 0.586 1.688 8.631
F 1.094 4.897 13.223
F 3.822 4.940 6.123
F 0.591 5.116 3.535
F 3.639 0.472 13.337
F 0.637 2.267 3.681
F 3.689 1.957 1.199
F 1.387 0.775 5.935
F 3.026 0.534 8.333
F 0.276 3.475 10.834
........
Outcome:
# 1
LiMnP3HO10 | GGA+U | relaxed

Output
The calculation puts the raw total energy at -6.873 eV/atom. Its formation energy is -2.40 eV/atom. The calculation puts the polymorph energy (0 for the lowest one) at 33 meV per atom. The symmetry is P1, No. 1.

Geometry as extended XYZ:
```
32
Lattice="-2.557 2.043 6.725 8.322 -4.023 1.620 1.154 7.303 1.362" Properties=species:S:1:pos:R:3 pbc="T T T"
O -0.628 4.961 6.704
O 6.215 -1.550 4.957
O 5.125 -0.558 7.302
O 7.551 1.934 3.545
O 3.823 6.457 8.938
O 0.361 3.796 4.083
O 1.358 5.133 8.184
O 6.592 -1.425 2.465
O -0.787 2.258 6.114
O 1.248 6.081 3.346
O 0.576 7.181 6.812
O 5.431 0.496 3.582
O 3.551 1.438 6.840
O 1.535 1.319 5.417
O 6.423 1.366 5.778
O 4.231 -1.730 3.479
O 5.229 2.876 4.242
O 2.965 -1.297 0.924
O 1.735 5.257 5.691
O 2.816 4.080 3.796
Mn 6.959 -0.283 6.619
Mn 4.654 4.358 3.125
H 2.670 1.405 6.192
H 0.370 6.046 2.699
P 1.523 4.789 4.146
P 0.733 5.604 6.885
P 6.251 1.739 4.289
P 5.590 -1.081 3.658
P 3.828 0.148 7.643
P 0.236 1.122 6.162
Li 2.201 1.978 1.814
Li 5.658 4.619 6.659
```


# 2
LiVFeP2O8F2 | GGA+U | relaxed

Output
The calculation puts the raw total energy at -6.844 eV/atom. Its formation energy is -2.62 eV/atom. The calculation puts the polymorph energy (0 for the lowest one) at 0 meV per atom.

Geometry as extended XYZ:
```
30
Lattice="-3.494 3.699 -0.841 -6.294 -1.693 3.607 2.061 2.373 9.992" Properties=species:S:1:pos:R:3 pbc="T T T"
P -5.575 3.705 3.945
P -1.773 2.157 1.592
P -5.636 4.346 7.971
P -5.944 2.196 11.165
O -6.731 3.300 8.147
O -6.694 -0.196 4.874
O -5.793 2.780 2.757
O -2.570 1.621 7.639
O -1.986 1.639 9.986
O 0.861 2.977 8.749
O -4.905 3.284 10.912
O -1.617 3.149 2.766
O -2.868 1.110 1.768
O -6.163 1.271 9.977
O -5.063 2.793 5.137
O -8.495 1.437 4.026
O -4.263 3.686 7.647
O -1.042 1.095 4.533
O -1.015 4.457 8.075
O -3.445 0.573 5.303
V -4.219 0.688 13.572
V -3.850 2.197 6.352
F -2.795 4.934 9.992
F -5.226 1.052 7.220
F -2.513 3.290 5.510
F -4.943 -0.594 2.738
Fe -3.173 -0.831 1.834
Fe -0.743 3.052 4.605
Li -2.607 3.331 8.909
Li -5.038 -0.552 6.137
```


# 3
Fe2S2O17 | GGA+U | relaxed

Output
The calculation puts the raw total energy at -5.534 eV/atom. Its formation energy is -0.54 eV/atom. The symmetry is P-1, No. 2.

Geometry as extended XYZ:
```
42
Lattice="-2.634 1.357 -6.642 -6.499 -6.140 0.245 -9.381 3.956 3.686" Properties=species:S:1:pos:R:3 pbc="T T T"
O -9.056 1.019 -4.162
O -10.523 2.663 2.417
O -11.743 -2.267 -0.548
O -16.337 -1.382 -1.523
O -2.176 0.556 -1.189
O -10.330 3.182 -0.029
O -7.991 -3.489 -5.129
O -4.560 -0.617 0.920
O -5.804 0.622 -2.378
O -12.710 -1.448 -0.334
O -12.043 3.585 -1.720
O -9.710 0.383 -0.392
O -6.779 2.560 -2.797
O -11.655 -0.084 -2.834
O -6.770 1.441 -2.164
O -5.944 -1.858 -3.912
O -10.640 -3.194 -4.008
O -12.570 1.032 1.200
O -8.564 -3.279 -0.388
O -6.471 -4.411 -0.991
O -14.139 -2.598 1.819
O -9.949 2.453 -2.324
O -7.873 2.368 1.296
O -8.184 -4.008 -2.683
O -8.804 -1.209 -2.320
O -4.374 1.772 -4.531
O -6.858 -0.742 0.122
O -13.953 -0.209 -3.631
O -13.164 1.193 2.263
O -11.734 -3.386 0.086
O -5.350 -2.019 -4.975
O -8.655 -1.161 -5.153
O -9.859 0.335 2.441
O -9.458 -1.845 1.450
S -12.623 0.198 -3.969
S -5.891 -1.024 1.257
S -10.622 3.519 -1.503
S -7.891 -4.345 -1.209
Fe -8.675 -1.318 -0.322
Fe -9.838 0.492 -2.389
Fe -10.148 1.643 1.044
Fe -8.365 -2.469 -3.756
```


# 4
Mn6O5F7 | GGA+U | relaxed

Output
The calculation puts the raw total energy at -6.660 eV/atom. Its formation energy is -2.41 eV/atom. The calculation puts the polymorph energy (0 for the lowest one) at 27 meV per atom. The symmetry is P1, No. 1.

Geometry as extended XYZ:
```
36
Lattice="5.113 0.000 0.000 -0.012 5.761 0.000 -0.871 -0.229 14.497" Properties=species:S:1:pos:R:3 pbc="T T T"
F 3.088 0.908 3.722
F 0.065 0.660 11.060
F 0.586 1.688 8.631
F 1.094 4.897 13.223
F 3.822 4.940 6.123
F 0.591 5.116 3.535
F 3.639 0.472 13.337
F 0.637 2.267 3.681
F 3.689 1.957 1.199
F 1.387 0.775 5.935
F 3.026 0.534 8.333
F 0.276 3.475 10.834